Work order =
What is needed: work out how many lines below have the word "Atomic" in them; a number is enough.

Given =
This entry pairs a crystal structure of K6Na4Sr with its computed PXRD pattern. Radiation: copper Kα. Structure: a structure optimized by DFT (PBE).

Atomic structure:
```
data_K6Na4Sr
_chemical_formula_sum 'K12 Na8 Sr2'
_symmetry_space_group_name_H-M 'I 4/m m m'
_symmetry_Int_Tables_number 139
_symmetry_space_group_name_Hall '-I 4 2'
_cell_length_a 6.107
_cell_length_b 6.107
_cell_length_c 36.326
_cell_angle_alpha 90.00
_cell_angle_beta 90.00
_cell_angle_gamma 90.00
loop_
_atom_site_label
_atom_site_fract_x
_atom_site_fract_y
_atom_site_fract_z
K1 0.000 0.500 0.109
K2 0.000 0.500 0.250
Na1 0.000 0.000 0.042
Na2 0.000 0.000 0.321
Sr1 0.000 0.000 0.500
```

The 8 most intense peaks (2θ = 15–90°), in order of rising 2θ:
18.98°, d 4.675, I 29
19.55°, d 4.541, I 24
21.15°, d 4.201, I 38
22.80°, d 3.900, I 41
25.33°, d 3.516, I 100
28.52°, d 3.129, I 26
29.25°, d 3.054, I 69
49.54°, d 1.840, I 28

---

This entry pairs a crystal structure of TiTlCu2Cl8 with its computed PXRD pattern. Radiation: copper Kα. Structure: a structure optimized by DFT (PBE).

Atomic structure:
```
data_TiTlCu2Cl8
_chemical_formula_sum 'Ti1 Tl1 Cu2 Cl8'
_symmetry_space_group_name_H-M 'P -1'
_symmetry_Int_Tables_number 2
_cell_length_a 6.157
_cell_length_b 6.901
_cell_length_c 8.501
_cell_angle_alpha 70.16
_cell_angle_beta 82.09
_cell_angle_gamma 84.28
loop_
_symmetry_equiv_pos_as_xyz
'x,y,z'
'-x,-y,-z'
loop_
_atom_site_label
_atom_site_fract_x
_atom_site_fract_y
_atom_site_fract_z
Ti1 0.000 0.000 0.000
Tl1 0.000 0.500 0.500
Cu1 0.486 0.020 0.317
Cl1 0.117 0.985 0.263
Cl2 0.150 0.315 0.869
Cl3 0.339 0.821 0.938
Cl4 0.491 0.260 0.453
```

The 8 most intense peaks (2θ = 15–90°), in order of rising 2θ:
19.10°, d 4.646, I 61
19.43°, d 4.569, I 43
20.58°, d 4.317, I 38
22.01°, d 4.039, I 100
25.37°, d 3.511, I 58
29.33°, d 3.045, I 41
34.67°, d 2.587, I 36
40.86°, d 2.209, I 36

---

This entry pairs a crystal structure of PmCo3Ge2 with its computed PXRD pattern. Radiation: copper Kα. Structure: a structure optimized by DFT (PBE).

Atomic structure:
```
data_PmCo3Ge2
_chemical_formula_sum 'Pm1 Co3 Ge2'
_symmetry_space_group_name_H-M 'P 6 m m'
_symmetry_Int_Tables_number 183
_symmetry_space_group_name_Hall 'P 6 -2'
_cell_length_a 5.3495
_cell_length_b 5.3495
_cell_length_c 3.6461
_cell_angle_alpha 90.00
_cell_angle_beta 90.00
_cell_angle_gamma 120.00
loop_
_atom_site_label
_atom_site_fract_x
_atom_site_fract_y
_atom_site_fract_z
Pm1 0.0000 0.0000 0.0000
Co1 0.0000 0.5000 0.4980
Ge1 0.3333 0.6667 0.9979
```

The 8 most intense peaks (2θ = 15–90°), in order of rising 2θ:
31.22°, d 2.865, I 31
33.50°, d 2.675, I 40
38.88°, d 2.316, I 32
41.89°, d 2.157, I 100
50.03°, d 1.823, I 18
61.56°, d 1.506, I 14
65.66°, d 1.422, I 26
70.40°, d 1.337, I 18

---

This entry pairs a crystal structure of Ac7As5Pb with its computed PXRD pattern. Radiation: copper Kα. Structure: a structure optimized by DFT (PBE).

Atomic structure:
```
data_Ac7As5Pb
_chemical_formula_sum 'Ac28 As20 Pb4'
_symmetry_space_group_name_H-M 'C 1 2/m 1'
_symmetry_Int_Tables_number 12
_cell_length_a 14.956
_cell_length_b 4.569
_cell_length_c 27.075
_cell_angle_alpha 90.00
_cell_angle_beta 90.02
_cell_angle_gamma 90.00
loop_
_symmetry_equiv_pos_as_xyz
'x,y,z'
'-x,-y,-z'
'-x,y,-z'
'x,-y,z'
'x+1/2,y+1/2,z'
'-x+1/2,-y+1/2,-z'
'-x+1/2,y+1/2,-z'
'x+1/2,-y+1/2,z'
loop_
_atom_site_label
_atom_site_fract_x
_atom_site_fract_y
_atom_site_fract_z
Ac1 0.033 0.000 0.250
Ac2 0.089 0.500 0.395
Ac3 0.090 0.500 0.105
Ac4 0.137 0.000 0.535
Ac5 0.137 0.000 0.965
Ac6 0.179 0.500 0.674
Ac7 0.179 0.500 0.826
As1 0.000 0.500 0.000
As2 0.000 0.500 0.500
As3 0.045 0.000 0.643
As4 0.045 0.000 0.857
As5 0.227 0.000 0.073
As6 0.227 0.000 0.427
Pb1 0.202 0.500 0.250
```

The 8 most intense peaks (2θ = 15–90°), in order of rising 2θ:
24.25°, d 3.671, I 31
25.93°, d 3.436, I 94
27.28°, d 3.269, I 100
28.28°, d 3.156, I 77
39.45°, d 2.284, I 39
39.68°, d 2.272, I 33
47.81°, d 1.902, I 38
64.33°, d 1.448, I 29

---

Outcome =
4